********
Entry 1:
95
Properties=species:S:1:pos:R:3 method="wB97M-V/def2-TZVPD" lumo_energy_ev=0.02 max_force_ev_per_a=1.763
C 16.9775 19.6621 -17.2244
S 15.2171 19.7252 -17.6260
O 15.0343 18.9504 -18.8745
C 14.6304 18.5962 -16.3576
H 17.2214 18.8146 -16.5889
H 17.2477 20.5738 -16.6864
H 17.5151 19.6599 -18.1689
H 13.5514 18.5703 -16.5277
H 14.7548 18.9974 -15.3505
H 15.0328 17.5994 -16.5171
C 9.8720 21.3968 -14.5099
S 8.5563 20.4061 -15.2027
O 9.1949 19.6352 -16.3065
C 8.2681 19.3195 -13.8081
H 10.0583 22.1574 -15.2695
H 10.7801 20.8008 -14.4207
H 9.5821 21.8937 -13.5864
H 9.0862 18.6121 -13.6894
H 7.3059 18.8385 -13.9627
H 8.2040 19.9464 -12.9165
C 6.5528 16.1071 -20.2645
S 7.4422 14.8508 -19.3501
O 7.0353 13.5161 -19.8509
C 9.1044 15.1989 -19.9082
H 5.4997 15.8531 -20.1903
H 6.8893 16.1237 -21.3020
H 6.7655 17.0619 -19.7839
H 9.2764 16.2432 -20.1587
H 9.1998 14.5665 -20.7975
H 9.8362 14.8608 -19.1805
C 11.5767 20.1212 -18.5505
S 11.2306 21.8451 -18.8849
O 12.1693 22.3268 -19.9130
C 9.6549 21.5688 -19.7109
H 11.7350 19.5325 -19.4560
H 10.7692 19.6747 -17.9690
H 12.5025 20.1004 -17.9771
H 9.7760 20.8775 -20.5427
H 9.3393 22.5457 -20.0735
H 8.9379 21.2052 -18.9739
C 9.3227 11.8612 -18.0089
S 9.0407 10.9840 -16.4746
O 10.3157 10.8589 -15.7556
C 8.1414 12.3193 -15.6880
H 9.8631 11.3112 -18.7705
H 9.8500 12.7924 -17.7838
H 8.3035 12.1114 -18.3139
H 7.6597 11.9557 -14.7852
H 7.3748 12.6896 -16.3719
H 8.8636 13.1069 -15.4754
C 10.7496 16.2858 -16.1447
Cl 8.9805 16.3379 -16.2477
Cl 11.2949 17.3586 -14.8617
Cl 11.2690 14.6312 -15.8091
Cl 11.4124 16.8719 -17.6639
C 8.7543 14.7847 -12.9860
C 8.5425 15.1137 -11.5125
C 9.7781 15.5280 -10.7459
C 9.4430 15.8838 -9.3104
C 10.6456 16.2289 -8.4568
C 10.2820 16.5629 -7.0120
H 9.5359 15.2804 -13.5627
H 7.8079 14.8086 -13.5224
H 9.1637 13.7642 -13.0002
H 7.7449 15.8594 -11.4053
H 8.1471 14.2257 -11.0055
H 10.2020 16.4041 -11.2497
H 10.4858 14.6940 -10.7847
H 8.7607 16.7467 -9.3481
H 8.7939 15.1128 -8.8781
H 11.3638 15.4027 -8.4586
H 11.1753 17.0926 -8.8687
H 9.8668 15.7141 -6.4684
H 11.1196 16.9746 -6.4464
H 9.5327 17.3626 -6.9873
C 5.6980 16.3784 -15.7301
C 4.3714 15.6317 -15.9198
C 4.1486 15.1857 -17.3623
C 2.9005 14.3344 -17.5328
C 1.5947 15.1182 -17.4735
C 0.3615 14.2195 -17.6231
H 6.0227 16.2719 -14.6953
H 5.5709 17.4308 -15.9826
H 6.4133 15.9083 -16.4053
H 4.3814 14.6832 -15.3652
H 3.5333 16.1994 -15.5147
H 5.0354 14.6396 -17.6909
H 4.0560 16.0943 -17.9754
H 2.9397 13.8072 -18.4940
H 2.9032 13.5378 -16.7784
H 1.5509 15.6664 -16.5265
H 1.6189 15.8777 -18.2606
H -0.5726 14.7675 -17.5630
H 0.4366 13.8192 -18.6441
H 0.4600 13.3262 -17.0084



Entry 2:
110
Properties=species:S:1:pos:R:3 method="wB97M-V/def2-TZVPD" lumo_energy_ev=-9.10 max_force_ev_per_a=4.571 total_charge=+4
N 0.4496 -1.5843 1.2830
S 0.5298 -0.2614 0.3910
O 0.5787 -0.4974 -0.9618
O 1.2119 0.8470 0.9645
F -0.9948 0.2034 0.5247
S 2.0669 -1.8374 1.6067
O 2.4940 -1.2351 2.8158
O 2.9383 -1.9162 0.4885
F 1.8828 -3.3351 2.0127
C -1.4888 -4.7897 -1.7171
C -0.4772 -4.3773 -0.6987
O 0.6640 -4.3832 -0.8046
N -1.0540 -3.8864 0.6555
H -0.4667 -2.9843 0.9009
H -1.9854 -3.4567 0.5934
C -1.0876 -4.9492 1.6784
H -1.1038 -4.4046 -2.6692
H -2.4517 -4.3252 -1.5022
H -1.6265 -5.8700 -1.7249
H -1.1738 -4.4717 2.6487
H -0.1716 -5.5335 1.6430
H -1.9041 -5.6407 1.4953
C 4.7244 1.2808 1.9606
C 4.8117 1.0964 0.4951
O 3.9518 0.9459 -0.2460
N 6.2182 1.1855 -0.0643
H 6.8792 0.9400 0.6924
H 6.3603 0.4768 -0.7985
C 6.6109 2.5896 -0.5099
H 5.1288 2.2308 2.3196
H 5.3862 0.4960 2.3585
H 3.7209 1.1483 2.3392
H 7.6726 2.5066 -0.7208
H 6.4648 3.2985 0.2955
H 6.0113 2.8147 -1.3822
C -5.7895 -1.0994 -4.5319
C -4.6744 -1.0650 -3.5716
O -3.5636 -1.1458 -3.8448
N -5.0166 -0.6180 -2.1447
H -5.9609 -0.1907 -2.1721
H -5.2229 -1.3881 -1.4891
C -4.0564 0.3910 -1.5825
H -5.7309 -1.8925 -5.2713
H -5.8367 -0.1433 -5.0556
H -6.7413 -1.2775 -4.0143
H -4.0196 1.2878 -2.2077
H -3.0857 -0.0382 -1.3755
H -4.4888 0.6525 -0.6097
C 1.4544 4.2073 -0.1269
C 0.9074 4.8459 1.1009
********

Find the line earlier on that holds "-16.6864", then duplicate that line and all lines after it there.

H 17.2477 20.5738 -16.6864
H 17.5151 19.6599 -18.1689
H 13.5514 18.5703 -16.5277
H 14.7548 18.9974 -15.3505
H 15.0328 17.5994 -16.5171
C 9.8720 21.3968 -14.5099
S 8.5563 20.4061 -15.2027
O 9.1949 19.6352 -16.3065
C 8.2681 19.3195 -13.8081
H 10.0583 22.1574 -15.2695
H 10.7801 20.8008 -14.4207
H 9.5821 21.8937 -13.5864
H 9.0862 18.6121 -13.6894
H 7.3059 18.8385 -13.9627
H 8.2040 19.9464 -12.9165
C 6.5528 16.1071 -20.2645
S 7.4422 14.8508 -19.3501
O 7.0353 13.5161 -19.8509
C 9.1044 15.1989 -19.9082
H 5.4997 15.8531 -20.1903
H 6.8893 16.1237 -21.3020
H 6.7655 17.0619 -19.7839
H 9.2764 16.2432 -20.1587
H 9.1998 14.5665 -20.7975
H 9.8362 14.8608 -19.1805
C 11.5767 20.1212 -18.5505
S 11.2306 21.8451 -18.8849
O 12.1693 22.3268 -19.9130
C 9.6549 21.5688 -19.7109
H 11.7350 19.5325 -19.4560
H 10.7692 19.6747 -17.9690
H 12.5025 20.1004 -17.9771
H 9.7760 20.8775 -20.5427
H 9.3393 22.5457 -20.0735
H 8.9379 21.2052 -18.9739
C 9.3227 11.8612 -18.0089
S 9.0407 10.9840 -16.4746
O 10.3157 10.8589 -15.7556
C 8.1414 12.3193 -15.6880
H 9.8631 11.3112 -18.7705
H 9.8500 12.7924 -17.7838
H 8.3035 12.1114 -18.3139
H 7.6597 11.9557 -14.7852
H 7.3748 12.6896 -16.3719
H 8.8636 13.1069 -15.4754
C 10.7496 16.2858 -16.1447
Cl 8.9805 16.3379 -16.2477
Cl 11.2949 17.3586 -14.8617
Cl 11.2690 14.6312 -15.8091
Cl 11.4124 16.8719 -17.6639
C 8.7543 14.7847 -12.9860
C 8.5425 15.1137 -11.5125
C 9.7781 15.5280 -10.7459
C 9.4430 15.8838 -9.3104
C 10.6456 16.2289 -8.4568
C 10.2820 16.5629 -7.0120
H 9.5359 15.2804 -13.5627
H 7.8079 14.8086 -13.5224
H 9.1637 13.7642 -13.0002
H 7.7449 15.8594 -11.4053
H 8.1471 14.2257 -11.0055
H 10.2020 16.4041 -11.2497
H 10.4858 14.6940 -10.7847
H 8.7607 16.7467 -9.3481
H 8.7939 15.1128 -8.8781
H 11.3638 15.4027 -8.4586
H 11.1753 17.0926 -8.8687
H 9.8668 15.7141 -6.4684
H 11.1196 16.9746 -6.4464
H 9.5327 17.3626 -6.9873
C 5.6980 16.3784 -15.7301
C 4.3714 15.6317 -15.9198
C 4.1486 15.1857 -17.3623
C 2.9005 14.3344 -17.5328
C 1.5947 15.1182 -17.4735
C 0.3615 14.2195 -17.6231
H 6.0227 16.2719 -14.6953
H 5.5709 17.4308 -15.9826
H 6.4133 15.9083 -16.4053
H 4.3814 14.6832 -15.3652
H 3.5333 16.1994 -15.5147
H 5.0354 14.6396 -17.6909
H 4.0560 16.0943 -17.9754
H 2.9397 13.8072 -18.4940
H 2.9032 13.5378 -16.7784
H 1.5509 15.6664 -16.5265
H 1.6189 15.8777 -18.2606
H -0.5726 14.7675 -17.5630
H 0.4366 13.8192 -18.6441
H 0.4600 13.3262 -17.0084



Entry 2:
110
Properties=species:S:1:pos:R:3 method="wB97M-V/def2-TZVPD" lumo_energy_ev=-9.10 max_force_ev_per_a=4.571 total_charge=+4
N 0.4496 -1.5843 1.2830
S 0.5298 -0.2614 0.3910
O 0.5787 -0.4974 -0.9618
O 1.2119 0.8470 0.9645
F -0.9948 0.2034 0.5247
S 2.0669 -1.8374 1.6067
O 2.4940 -1.2351 2.8158
O 2.9383 -1.9162 0.4885
F 1.8828 -3.3351 2.0127
C -1.4888 -4.7897 -1.7171
C -0.4772 -4.3773 -0.6987
O 0.6640 -4.3832 -0.8046
N -1.0540 -3.8864 0.6555
H -0.4667 -2.9843 0.9009
H -1.9854 -3.4567 0.5934
C -1.0876 -4.9492 1.6784
H -1.1038 -4.4046 -2.6692
H -2.4517 -4.3252 -1.5022
H -1.6265 -5.8700 -1.7249
H -1.1738 -4.4717 2.6487
H -0.1716 -5.5335 1.6430
H -1.9041 -5.6407 1.4953
C 4.7244 1.2808 1.9606
C 4.8117 1.0964 0.4951
O 3.9518 0.9459 -0.2460
N 6.2182 1.1855 -0.0643
H 6.8792 0.9400 0.6924
H 6.3603 0.4768 -0.7985
C 6.6109 2.5896 -0.5099
H 5.1288 2.2308 2.3196
H 5.3862 0.4960 2.3585
H 3.7209 1.1483 2.3392
H 7.6726 2.5066 -0.7208
H 6.4648 3.2985 0.2955
H 6.0113 2.8147 -1.3822
C -5.7895 -1.0994 -4.5319
C -4.6744 -1.0650 -3.5716
O -3.5636 -1.1458 -3.8448
N -5.0166 -0.6180 -2.1447
H -5.9609 -0.1907 -2.1721
H -5.2229 -1.3881 -1.4891
C -4.0564 0.3910 -1.5825
H -5.7309 -1.8925 -5.2713
H -5.8367 -0.1433 -5.0556
H -6.7413 -1.2775 -4.0143
H -4.0196 1.2878 -2.2077
H -3.0857 -0.0382 -1.3755
H -4.4888 0.6525 -0.6097
C 1.4544 4.2073 -0.1269
C 0.9074 4.8459 1.1009